Wanted =
It remains to print only the lines underneath with the word "Properties" in them.

Material =
********
114
Properties=species:S:1:pos:R:3:mulliken_charge:R:1 method="wB97M-V/def2-TZVPD" spin_multiplicity=6 e_tot_ha=-3058.17944 e_homo_ev="-4.47 / -8.18" relative_energy_kj_mol=74.6 gap_ha="0.1798 / 0.2230"
Ru 0.85 -0.29 -0.43 -0.142
C 2.67 -0.70 3.02 -1.405
Si 1.18 -0.11 2.05 0.600
C -0.41 -0.78 2.63 0.869
C -0.93 -0.35 3.87 -0.306
C -2.19 -0.68 4.30 -0.988
C -3.02 -1.50 3.46 -0.941
C -2.56 -1.95 2.26 -0.523
C -1.26 -1.62 1.78 0.851
P -0.59 -2.16 0.28 -0.194
C -1.99 -2.52 -0.85 0.703
C -2.77 -1.25 -1.17 0.508
C -4.11 -1.58 -1.85 -1.152
C -4.00 -2.81 -2.75 -0.996
C -2.58 -2.96 -3.29 -0.725
C -1.60 -3.26 -2.14 -1.305
C 0.30 -3.79 0.30 0.544
C -0.49 -4.80 1.17 -1.059
C 0.15 -4.93 2.55 -0.387
C 1.56 -5.51 2.44 -0.858
C 2.30 -5.00 1.19 -1.133
C 1.75 -3.65 0.76 -0.739
C 1.25 1.80 2.10 1.193
C 1.92 2.37 3.19 -0.713
C 1.91 3.74 3.42 -0.828
C 1.19 4.58 2.58 -1.241
C 0.52 4.04 1.49 -0.892
C 0.57 2.68 1.23 -0.130
P -0.33 1.99 -0.21 0.575
C -2.06 2.43 0.19 0.133
C -3.08 2.23 -0.93 0.043
C -4.47 2.67 -0.47 -1.271
C -4.90 1.92 0.79 -0.435
C -3.88 2.12 1.90 -1.405
C -2.49 1.70 1.47 0.509
C 0.22 2.85 -1.72 0.661
C -0.01 4.36 -1.85 -0.224
C 0.66 4.88 -3.13 -0.906
C 0.20 4.14 -4.38 -0.830
C 0.37 2.63 -4.22 -0.951
C -0.34 2.15 -2.97 0.321
H 2.45 -0.53 4.08 0.459
H 3.59 -0.20 2.76 0.325
H 2.80 -1.77 2.91 0.441
H -0.32 0.28 4.50 0.283
H -2.54 -0.35 5.26 0.394
H -4.02 -1.75 3.78 0.406
H -3.22 -2.56 1.65 0.257
H -2.64 -3.19 -0.26 1.017
H -2.15 -0.65 -1.85 -0.382
H -2.93 -0.66 -0.27 -0.563
H -4.43 -0.71 -2.43 0.459
H -4.87 -1.74 -1.08 0.388
H -4.72 -2.75 -3.57 0.552
H -4.25 -3.71 -2.18 0.332
H -2.28 -2.05 -3.81 0.144
H -2.52 -3.76 -4.03 0.491
H -0.58 -2.98 -2.45 0.280
H -1.57 -4.33 -1.95 0.479
H 0.31 -4.14 -0.74 0.880
H -0.50 -5.77 0.67 0.625
H -1.53 -4.50 1.28 0.441
H -0.47 -5.56 3.19 0.572
H 0.16 -3.94 3.01 -0.084
H 1.51 -6.60 2.42 0.333
H 2.13 -5.25 3.34 0.363
H 2.17 -5.71 0.36 0.384
H 3.37 -4.94 1.38 0.444
H 2.35 -3.19 -0.03 0.442
H 1.79 -2.97 1.61 -0.112
H 2.47 1.74 3.87 0.377
H 2.44 4.15 4.27 0.453
H 1.15 5.64 2.76 0.407
H -0.05 4.70 0.85 0.414
H -2.02 3.51 0.39 1.026
H -3.11 1.18 -1.21 -0.146
H -2.79 2.79 -1.83 0.166
H -5.18 2.50 -1.29 0.439
H -4.46 3.74 -0.27 0.363
H -4.99 0.85 0.56 0.088
H -5.89 2.26 1.10 0.439
H -4.16 1.55 2.79 0.442
H -3.87 3.18 2.19 0.383
H -2.48 0.62 1.27 -0.867
H -1.77 1.85 2.27 0.445
H 1.31 2.68 -1.71 0.454
H 0.38 4.90 -1.00 0.108
H -1.09 4.55 -1.89 0.238
H 1.74 4.77 -3.01 0.349
H 0.46 5.95 -3.23 0.450
H 0.75 4.50 -5.25 0.418
H -0.85 4.35 -4.56 0.321
H 1.44 2.38 -4.14 0.384
H -0.01 2.10 -5.10 0.388
H -0.28 1.07 -2.87 -0.813
H -1.41 2.39 -3.06 0.041
N 1.11 -1.00 -2.36 -0.985
C 0.95 -1.30 -3.49 0.814
N 0.84 -1.69 -4.68 -0.791
C 0.01 -1.10 -5.52 0.582
N -0.71 -0.64 -6.29 -0.618
C 2.78 0.11 -0.10 -1.029
C 3.97 0.32 0.09 0.492
C 5.38 0.51 0.26 0.153
C 6.27 0.08 -0.73 -0.533
C 7.63 0.28 -0.56 -0.588
C 8.12 0.91 0.58 -0.411
C 7.24 1.35 1.55 -0.703
C 5.88 1.15 1.40 -0.095
H 5.89 -0.41 -1.61 0.472
H 8.32 -0.07 -1.33 0.393
H 9.18 1.06 0.70 0.389
H 7.61 1.85 2.44 0.389
H 5.19 1.51 2.15 0.421

117
Properties=species:S:1:pos:R:3:mulliken_charge:R:1 method="wB97M-V/def2-TZVPD" charge=-1 e_tot_ha=-2582.82231 e_homo_ev=-4.22 relative_energy_kj_mol=0.0 gap_ha=0.2432
Bi -0.23 -0.28 0.05 4.166
O 0.62 3.75 -0.07 -0.780
C 0.27 2.82 0.65 -0.590
O -0.70 2.00 0.40 -0.607
C 0.99 2.67 2.01 0.306
C 0.12 1.96 3.06 0.208
C 0.73 2.15 4.46 -1.144
C 1.91 1.15 4.43 -0.950
C 1.81 0.64 2.99 0.110
O 0.39 0.57 2.80 -0.368
C 2.25 1.76 2.02 0.297
C 2.74 1.17 0.68 -0.555
O 3.95 1.07 0.53 -0.817
O 1.85 0.80 -0.18 -0.543
H 1.24 3.68 2.31 0.603
H -0.94 2.18 2.99 0.437
H 1.06 3.18 4.61 0.389
H 0.01 1.90 5.24 0.334
H 2.88 1.60 4.63 0.374
H 1.76 0.33 5.13 0.382
H 2.26 -0.34 2.81 0.004
H 3.11 2.28 2.43 0.546
C -0.94 3.04 -4.76 -1.762
C 0.06 2.61 -3.69 1.322
C 1.05 3.75 -3.42 -1.434
C 0.82 1.33 -4.06 0.533
C 1.65 1.38 -5.17 -0.515
C 2.51 0.35 -5.48 -1.560
C 2.60 -0.72 -4.61 -0.482
C 1.78 -0.84 -3.49 0.844
C 2.02 -2.03 -2.58 2.961
C 2.04 -3.36 -3.34 -2.147
********

Completed =
Properties=species:S:1:pos:R:3:mulliken_charge:R:1 method="wB97M-V/def2-TZVPD" spin_multiplicity=6 e_tot_ha=-3058.17944 e_homo_ev="-4.47 / -8.18" relative_energy_kj_mol=74.6 gap_ha="0.1798 / 0.2230"
Properties=species:S:1:pos:R:3:mulliken_charge:R:1 method="wB97M-V/def2-TZVPD" charge=-1 e_tot_ha=-2582.82231 e_homo_ev=-4.22 relative_energy_kj_mol=0.0 gap_ha=0.2432